Sunday 16 July 2017


This week the children have been thinking about what they want to share in their assembly next week. They have been busy practising a dance and using the microphone to say their words clearly. The children are doing really well and are looking forward to showing off their learning.

The children got to spend a morning in their new classes on Thursday and loved it. They are very excited to be moving up.

The afternoon Nursery enjoyed playing board games on Thursday, They were able to take turns and thought about who had the most and who would be the winner.

Afternoon Nursery also had a visit from Les the Beekeeper on Friday. he has been helping Sammy's family. We saw a real hive and touched some honeycomb and bees wax. Les gave us some honeycomb to put on our discovery table so that Morning Nursery can see it too.

Next week is our final week in Nursery before we break up for the summer. Morning Nursery Sharing Assembly is on Wednesday at 9.15 and Afternoon Nursery is at 2.45.

Sunday 9 July 2017


This week we have been learning about holidays and reading holiday related stories.

In Maths we had to use our problem solving skills and find as many ways as possible to decorate a sandcastle using 6 shells. We were very impressed that some of the children wanted to record their findings in different ways by drawing and writing numbers.

The children have loved exploring floating and sinking in the Discovery Area. They have had some great theories about why some things float for example because of gravity, they do or don't have holes, they are big or small or hard or soft. Take a look in our Science Investigation book for more comments and photos.

All the children had ice lollies on Friday because it was so hot.

The children have been really enjoying the outside play because the weather had been so nice. They have enjoyed building sandcastles in the sandpit. They have used the den building area to create pathways and dens in the trees.

In P.E. the children have started learning a dance to the 'Ugly Bug Ball.' The children enjoyed finding different ways of moving to be different bugs and copying dance moves from Mrs Chadwick and Mrs Keith.

Next week we will be continuing to think about holidays and moving to our new classes and schools.

On Monday please come along to Open Evening from 5.00pm to 7.00pm. You will have an opportunity to look at the wonderful things your child has been doing in Nursery this year and go and look around the other classes in the school.

On Thursday it is our transition morning when the children will spend some time in their new Reception classes.

On Wednesday 19th July the children will have their final sharing assembly. The morning performance is at 9.05 and the afternoon performance is at 2.45.

Saturday 1 July 2017


It was lovely to come into Nursery this week and find butterflies in the butterfly net. The children enjoyed watching them feed from the oranges and fly around the net. On Friday we released the butterflies as it was sunny. The first few were desperate to fly away. In the afternoon they were more reluctant so the children got to pass around an orange with them on and observe them feeding before they flew away.  

We went to Woodlands on Monday and enjoyed looking for the different bugs and insects. We found slugs, ants, spiders, flies, centipedes and woodlice. We used little pots to observe them through the magnifying glass. We also did a scavenger hunt looking for different shaped leaves, long and short sticks, stones, something bumpy and something smooth. 

We planted some grass seeds and thought about what they would need to help them grow. After putting some compost in the pot we added the seeds and watered them. We will be bringing them home next week, once the grass has started growing.

We were lucky to have a real pilot come into Nursery and talk about his job and the roles of other members of staff. The children absolutely loved Mr Irwin's visit and it helped to improve the quality of the role play which has been an airport this week. The children are all taking on a whole range of roles in the role play. 

The Morning Nursery made a plane out a huge box on Friday. We've had a wide variety of planes made out of the large construction and they've included jet engines, windows and the cockpit. 

Next week our theme is 'Holidays.'

Our song of the week is Five Little Sandcastles. 

Sunday 18 June 2017


We have had a lovely week in Nursery. The children were very pleased to see that the caterpillars have been growing and eating lots over the weekend. We looked really carefully at the caterpillars and drew a picture of what they look like now and some of us attempted some writing about them. As a class we have continued writing our caterpillar diary. We noticed they were bigger, some were spiky and some had crawled to the top of the pot.

-- Inserted here: materials data --
Density functional theory data (PBE) for crystalline La2ScCr at its relaxed geometry.

Unit cell a=8.565 b=8.565 c=6.835 alpha=51.20 beta=51.20 gamma=90.00
Last column: magnetic moment on the atom in μB.
Sites, in units of the cell vectors:
Sc (0.500, 0.500, 0.000)  -0.22
Sc (0.250, 0.750, 0.500)  -0.21
Cr (0.000, 0.000, 0.000)  3.33
Cr (0.750, 0.250, 0.500)  3.32
La (0.671, 0.125, 0.250)  -0.03
La (0.079, 0.625, 0.250)  -0.03
La (0.375, 0.329, 0.750)  -0.03
La (0.875, 0.921, 0.750)  -0.04

Summary:
Energy of formation   0.54 eV per atom
Volume   232.4 Å³ per cell

~~~~~

DFT (PBE) results for Sr3Ga4Hg2 after structural relaxation.

## Properties
formation energy: -0.466 eV/atom
space-group type: C2/m, No. 12

abc: 4.8136 6.2511 9.1294
angles: 109.75 90.00 112.65
Sites, in units of the cell vectors:
Sr 0.3244 0.6487 0.3402
Ga 0.0198 0.0396 0.3643
Ga 0.7488 0.4976 0.0766
Sr 0.6756 0.3513 0.6598
Hg 0.4000 0.8001 0.7303
Ga 0.2512 0.5024 0.9234
Sr 0.0000 0.0000 0.0000
Hg 0.6000 0.1999 0.2697
Ga 0.9802 0.9604 0.6357

***

DFT (PBE) results for Sr2GaHg2 after structural relaxation.

## Properties
excess energy over the best structure of this formula in the dataset: 0.202 eV per atom
formation energy: -0.272 eV/atom
space-group type: I4/mmm, No. 139

abc: 4.2286 4.2286 9.6755
angles: 77.38 77.38 90.00
Sites, in units of the cell vectors:
Hg 0.7500 0.2500 0.5000
Sr 0.4004 0.4004 0.1993
Ga 0.0000 0.0000 0.0000
Sr 0.5996 0.5996 0.8007
Hg 0.2500 0.7500 0.5000

***

DFT (PBE) results for Sr2GaHg after structural relaxation.

## Properties
formation energy: 0.312 eV/atom
space-group type: Immm, No. 71

abc: 7.6010 7.6010 7.6010
angles: 63.11 149.76 126.03
Sites, in units of the cell vectors:
Sr 0.0000 0.2515 0.2515
Ga 0.0000 0.0000 0.0000
Sr 0.0000 0.7485 0.7485
Hg 0.0000 0.5000 0.5000

***

DFT (PBE) results for Sr2GaHg after structural relaxation.

## Properties
formation energy: 0.039 eV/atom
space-group type: R-3m, No. 166

abc: 4.1061 4.1061 11.3683
angles: 79.60 79.60 60.00
Sites, in units of the cell vectors:
Hg 0.5000 0.5000 0.5000
Ga 0.0000 0.0000 0.0000
Sr 0.9030 0.9030 0.2909
Sr 0.0970 0.0970 0.7091

***

E_tot across the listed records, respectively: -2.44, -1.67, -1.36, -1.63 eV/atom.

~~~~~

No. 1
Here is a geometry-optimized La2MgAu structure from Alexandria. Energies are from PBE.

a b c (Å): 3.931 4.741 6.557
angles (deg): 90.00 107.34 90.00
Space group Pm (No. 6)
Symmetry-distinct sites (fractional):
La (0.000, 0.000, 0.000) [1 per cell]
La (0.314, 0.500, 0.628) [1 per cell]
Mg (0.597, 0.500, 0.194) [1 per cell]
Au (0.729, 0.000, 0.456) [1 per cell]

Summary:
Calculated density   7.10 g cm⁻³
Formation energy   -0.39 eV/atom
E_tot   -16.3 eV per cell

No. 2
Here is a geometry-optimized Mg2ScCd structure from Alexandria. Energies are from PBE.

a b c (Å): 10.465 3.222 5.510
angles (deg): 90.00 102.25 90.00
Space group Cm (No. 8)
Symmetry-distinct sites (fractional):
Mg (0.000, 0.000, 0.000) [2 per cell]
Mg (0.246, 0.000, 0.770) [2 per cell]
-- The materials data stop here --

We read 'The Very Hungry Caterpillar' by Eric Carle last week and this week we re-told the story and made up some new objects for the caterpillar to eat. Lots of children thought about their favourite food and the caterpillar ate spaghetti, pizza and sweets.

We have been practising for Sports Day next week. The children have been trying really hard to balance the bean-bags on their heads and run in and out of the cones. The children worked really well as a team. Sports Day is on Friday 23rd June from 9.10 for the morning and afternoon children.

Next week in phonics we will be continuing to practise all of the sounds we have learnt this year. We will also be rhyming and splitting words up into individual sounds and having a go at putting them back together.

We will be making some jewellery for our fashion show from recycled materials. Please send in some small pieces of recycled objects for our junk modelling.

Saturday 20 May 2017


What a week!. We have had a very busy week in Nursery. In P.E. we carried on practising our Teddy Bear's Picnic May Dance. The children are following really well, so hopefully our performance for you next week will make you proud.

Theo and Ola's favourite part of the week this week was taking photographs of the Teddy Bears. The children did well trying to get the Teddy Bear's face in the picture and pushing down hard on the button. We are hoping to use them for our David Hockney work next week.

We were very impressed with the children's drawing and painting skills this week. We challenged the children to draw and then paint with watercolours some Winnie-the Pooh characters. Nehan looked really carefully at Winnie-the-Pooh to draw the shapes and Lydia added Eeyore's bow for detail on her picture.

The children had a great time at Aldenham Country Park, despite the wet weather. They enjoyed finding the Winnie-the-Pooh characters' houses and running through the buttercups in 100 Aker Wood. We saw lots of animals at the farm including cows, rabbits, guinea pigs, sheep, donkeys and horses. We all had a photo taken on the tractor. At lunchtime Winnie-the-Pooh came to see us and some of us enjoyed giving him a big hug. We all enjoyed jumping in the muddy puddles and running throught the mud. Thank you to all the parents who helped and braved the wet weather.

On Friday we made sandwiches for our picnic. We could put jam or honey in and then cut the sandwiches into different shapes. The weather wasn't on our side so we used Treetops and had an indoor picnic with the bears.

## Next to the page, the page also holds crystal structures
+++
VASP calculation (PBE) on an optimized crystal structure of IrRh2Cl.

- ΔE_f (raw) (meV per atom) = 274
- energy above the most stable polymorph in this dataset (meV/atom) = 0.0

Cell: 8.5593 8.5593 8.5593 Å, 19.19 19.19 19.19°
Atoms (fractional coordinates):
Rh (0.9992, 0.9992, 0.9992)
Cl (0.2500, 0.2500, 0.2500)
Rh (0.5008, 0.5008, 0.5008)
Ir (0.7500, 0.7500, 0.7500)


VASP calculation (PBE) on an optimized crystal structure of CeThSe2O.

- ΔE_f (raw) (meV per atom) = -2300

Cell: 4.0964 4.0964 13.9908 Å, 90.00 90.00 90.00°
Atoms (fractional coordinates):
O (0.0000, 0.0000, 0.5000)
Ce (0.0000, 0.5000, 0.4147)
Se (0.5000, 0.0000, 0.3094)
Se (0.0000, 0.5000, 0.6906)
Se (0.5000, 0.0000, 0.8788)
Th (0.0000, 0.5000, 0.8976)
O (0.5000, 0.5000, 0.5000)
Se (0.0000, 0.5000, 0.1212)
Ce (0.5000, 0.0000, 0.5853)
Th (0.5000, 0.0000, 0.1024)


VASP calculation (PBE) on an optimized crystal structure of BaCa2Ag2.

- energy of formation (eV per atom) = -0.102
- energy above the most stable polymorph in this dataset (meV/atom) = 121.1

Cell: 5.5865 5.5865 7.0407 Å, 66.63 66.63 90.00°
Atoms (fractional coordinates):
Ba (0.0000, 0.0000, 0.0000)
Ca (0.3439, 0.3439, 0.3122)
Ag (0.2500, 0.7500, 0.5000)
Ag (0.7500, 0.2500, 0.5000)
Ca (0.6561, 0.6561, 0.6878)


VASP calculation (PBE) on an optimized crystal structure of Pm5PrZn6.

- energy of formation (eV per atom) = -0.313

Cell: 5.1775 7.3463 8.2105 Å, 90.00 71.41 89.99°
Atoms (fractional coordinates):
Pm (0.6671, 0.0000, 0.6658)
Pm (0.3340, 0.5000, 0.3321)
Zn (0.5000, 0.2529, 0.0000)
Zn (0.1681, 0.7480, 0.6637)
Pm (0.0000, 0.5000, 0.0000)
Pm (0.3329, 0.0000, 0.3342)
Zn (0.8319, 0.2520, 0.3363)
Zn (0.5000, 0.7471, 0.0000)
Zn (0.1681, 0.2520, 0.6637)
Pm (0.6660, 0.5000, 0.6679)
Pr (0.0000, 0.0000, 0.0000)
Zn (0.8319, 0.7480, 0.3363)


VASP calculation (PBE) on an optimized crystal structure of TbTmSb2.

- ΔE_f (raw) (meV per atom) = -1107
- energy above the most stable polymorph in this dataset (meV/atom) = 0.0

Cell: 4.3714 4.3714 7.5644 Å, 89.96 106.82 120.03°
Atoms (fractional coordinates):
Tb (0.0000, 0.5000, 0.5000)
Tm (0.0000, 0.0000, 0.0000)
Sb (0.4969, 0.7485, 0.2453)
Sb (0.5031, 0.2516, 0.7547)


VASP calculation (PBE) on an optimized crystal structure of TlHgNF2.

- ΔE_f (raw) (meV per atom) = -161
- energy above the most stable polymorph in this dataset (meV/atom) = 117.8

Cell: 4.5702 4.5702 4.4457 Å, 90.00 90.00 90.00°
Atoms (fractional coordinates):
F (0.5000, 0.0000, 0.0000)
Tl (0.0000, 0.0000, 0.0000)
F (0.0000, 0.5000, 0.0000)
Hg (0.5000, 0.5000, 0.5000)
N (0.0000, 0.0000, 0.5000)


VASP calculation (PBE) on an optimized crystal structure of LiLuSiHg.

- ΔE_f (raw) (meV per atom) = -375

Cell: 4.8317 4.8317 4.8317 Å, 60.00 60.00 60.00°
Atoms (fractional coordinates):
Lu (0.0000, 0.0000, 0.0000)
Si (0.7500, 0.7500, 0.7500)
Li (0.5000, 0.5000, 0.5000)
Hg (0.2500, 0.2500, 0.2500)


VASP calculation (PBE) on an optimized crystal structure of KVCuCl6.

- ΔE_f (raw) (meV per atom) = -1162
+++
## End of the crystal structures

Next week our sound of the week is 'v' and we will be learning some rhymes about bears.

Afternoon Nursery will be performing the May Dance at the Community Tea on Thursday afternoon.
Morning Nursery will be performing at the May King and Queen Celebrations on Friday morning.
If your child is in Treetops on a Thursday afternoon, they will also be performing at the Community Tea.

Sunday 14 May 2017


We have had an exciting week this week showing some of our grown-ups how we learn in Nursery. We hope that work shadowing was a valuable experience for you if you were able to take part. We were pleased to see all the grown-ups joining in with singing, playing and dancing with their children.

Misplaced calculated crystals:
# ErNiPtO4

A relaxed ErNiPtO4 crystal (GGA+U, Alexandria via LeMat-Bulk).

Cell: 6.386 6.680 8.492 Å, 90.00 90.00 90.00°
Space group Imma (No. 74)
Asymmetric unit:
1 Er 0.000 0.000 0.000 (multiplicity 4)
2 Ni 0.000 0.250 0.378 (multiplicity 4)
3 Pt 0.250 0.250 0.750 (multiplicity 4)
4 O 0.000 0.024 0.734 (multiplicity 8)
5 O 0.236 0.250 0.998 (multiplicity 8)

Output
**N(E_F)**: 10.47 states/eV per cell
**Calculated total energy**: -174.682 eV per cell

----------

Below is a relaxed MnTcCl2 crystal, with properties calculated at the GGA-PBE level.

Size of the total moment ... 0.00 μB/atom
Formation energy (no corrections) ... 0.95 eV/atom
Density of states at the Fermi level ... 4.39 states/eV/cell
Calculated density ... 6.8 Mg/m³

POSCAR file:
```
MnTcCl2
1.0
1.0367 -3.8965 -1.3512
-0.3650 -3.3271 2.6230
-3.0388 -2.9014 -0.6560
Cl Tc Mn
2 1 1
Direct
0.2500 0.2500 0.2500
0.7500 0.7500 0.7500
0.5000 0.5000 0.5000
0.0000 0.0000 0.0000
```

***

Below is a relaxed LiBiBr2 crystal, with properties calculated at the GGA-PBE level.

Size of the total moment ... 0.00 μB/atom
Formation energy (no corrections) ... -0.76 eV/atom
Density of states at the Fermi level ... 0.80 states/eV/cell
Calculated density ... 6.3 Mg/m³

POSCAR file:
```
LiBiBr2
1.0
2.1216 0.0000 8.5048
-1.0608 1.8373 8.5048
-1.0608 -1.8373 8.5048
Bi Br Li
1 2 1
Direct
0.0000 0.0000 0.0000
0.2306 0.2306 0.2306
0.7694 0.7694 0.7694
0.5000 0.5000 0.5000
```

***

Below is a relaxed TmMgCdIn crystal, with properties calculated at the GGA-PBE level.

Size of the total moment ... 0.00 μB/atom
Density of states at the Fermi level ... 1.05 states/eV/cell
DFT formation energy ... -291 meV/atom
Calculated density ... 7.4 Mg/m³

POSCAR file:
```
TmMgCdIn
1.0
5.1124 0.0000 0.0000
2.5562 4.4275 0.0000
2.5562 1.4758 4.1743
Tm In Cd Mg
1 1 1 1
Direct
0.5000 0.5000 0.5000
0.2500 0.2500 0.2500
0.7500 0.7500 0.7500
0.0000 0.0000 0.0000
```

***

Number 1: final energy -4.854 eV per atom. Number 2: final energy -3.044 eV per atom. Number 3: final energy -2.721 eV per atom.
The calculated crystals stop here:

This week we read the story 'Winnie-the-Pooh and the Troublesome Bees.' We followed Pooh through the story and were introduced to the other characters in the books. We used this to help us with our Maths learning. We counted the bees carefully and separated them in different ways.

We followed a map of the outdoor area to find 'Winnie-the-Pooh.' The children were able to use lots of position language and could talk about where to go in the outside area.

We looked at a map of 100 Acre Wood in preparation for our trip to Aldenham Country Park next week. The children were able to spot the different characters we had seen in our Winnie-the-Pooh story.

Next week we will be continuing to read about Winnie-the-Pooh and our trip to Aldenham Country Park is on Wednesday next week. We will be painting characters from the Winnie-the-Pooh stories and making our own picnics.

Our sound of the week is 'j' and we will be reading the rhyme 'Happiness' by A. A. Milne.

Sunday 7 May 2017

We're Going on a Bear Hunt ...again

The children have continued to enjoy 'We're Going on a Bear Hunt' and this week we went on a Bear Hunt, repeating the phrases and words from the story in the outdoor area. The children could remember the words and enjoyed the repeated phrases as they walked through the swishy swashy grass. Their favourite part was running away from the bear back through the different settings.

We also explored the woodwork area outside and learnt how to use the tools carefully and safely.

The children were very excited to have a look at the chicks in the classroom. We got them out and let them run on the carpet and some of us were brave enough to hold them.

The children enjoyed singing the song 'There were 10 in the bed' during our maths sessions. The children drew 10 teddies on their whiteboards and rubbed one out every time one fell out of bed.

Next week we be finding out about Winnie-the-Pooh and reading maps.

Our sound of the week is 'l' and we will be learning a song about Winnie-the-Pooh.